"It Now Appears These Concerns Were Justified"

Posted on the 31 December 2013 by Brutallyhonest @Ricksteroni

Dale O'Leary over at NCR brings us the latest details on the culture war skirmishes to include a chronicling of events many of us are likely clueless about:

The conflict between Duck Dynasty reality TV stars and the A&E television network has received massive media coverage. It is, however, only one skirmish in a larger conflict between the right of believers to express their faith and the rights of the LGBT (lesbian, gay, bisexual and transgender) community not to be offended by that expression of faith.

In response to a number of cases in which courts ruled against small businesses run by persons who refused for religious reasons to participate in celebrations of same-sex relations, Rep. Raul Labrador, R-Idaho, has introduced the “Marriage and Religious Freedom Act”(H.R. 3133).

According to Rep. Labrador, “Our bill will ensure tolerance for individuals and organizations that affirm traditional marriage, protecting them from adverse federal action.”

The law would prohibit the federal government from discriminating in any way against “individuals and institutions that exercise religious or moral conscience regarding marriage as the union of one man and woman.” While this would not affect state laws, it would prevent the federal government from denying benefits, positions or exemption from taxation to persons who voice support for traditional marriage.

=====
TiNb2In after structural relaxation, computed with PBE.

Geometry as extended XYZ:
```
8
Lattice="3.962 0.000 0.000 0.000 3.962 0.000 1.981 1.981 10.215" Properties=species:S:1:pos:R:3 pbc="T T T"
Nb 2.932 0.991 2.554
Nb 1.030 2.972 2.554
Nb 2.972 3.012 7.661
Nb 4.953 4.913 7.661
Ti 1.981 1.981 0.000
Ti 1.981 3.962 5.108
In 0.000 0.000 0.000
In 3.962 1.981 5.108
```

Calculated values
Energy relative to the elements in eV per atom: 0.4223
ρ in g cm⁻³: 7.2
Symmetry: No. 122



Ti7Nb2In3 after structural relaxation, computed with PBE.

Geometry as extended XYZ:
```
12
Lattice="-1.190 2.641 0.176 -4.504 -2.048 0.289 5.077 1.268 15.292" Properties=species:S:1:pos:R:3 pbc="T T T"
Ti 3.347 2.256 12.686
Ti -3.963 -0.396 3.070
Ti -1.481 0.443 7.260
Ti 0.865 1.418 8.497
Ti 0.000 0.000 0.000
Ti 1.602 -0.162 13.271
Ti -1.029 -0.617 2.309
Nb -1.741 0.499 4.667
Nb 1.125 1.362 11.090
In -0.651 -0.952 9.891
In 1.225 0.173 5.690
In -2.847 0.296 0.232
```

Calculated values
Energy relative to the elements in eV per atom: 0.0810
ρ in g cm⁻³: 6.4
Symmetry: No. 10



Ti3Nb2In2 after structural relaxation, computed with PBE.

Geometry as extended XYZ:
```
7
Lattice="2.860 0.293 0.479 -0.913 7.264 -1.232 0.873 -2.399 6.767" Properties=species:S:1:pos:R:3 pbc="T T T"
Ti 0.000 0.000 0.000
Ti 1.729 2.958 0.649
Ti 1.091 2.199 5.365
Nb 1.974 -0.478 5.018
Nb 0.846 5.635 0.995
In 2.357 4.162 3.405
In 0.463 0.995 2.609
```

Calculated values
Energy relative to the elements in eV per atom: -0.0397
Distance to the lowest polymorph of the same formula in meV/atom: 43.5
ρ in g cm⁻³: 7.1
Symmetry: No. 2



Ti2NbIn after structural relaxation, computed with PBE.

Geometry as extended XYZ:
```
=====
_The calculated crystals stop here_


A spokesman for the Human Rights Campaign — a homosexual-rights group — argued that there was no reason to believe that federal programs would discriminate against people based on their support of traditional marriage.

However, when sexual orientation was added to anti-discrimination laws, those opposed argued that such a change could have a negative effect on freedom of religion. Such concerns were brushed aside by the supporters of the change. When courts and legislatures redefined marriage to include same-sex couples, opponents pointed out that such a change could lead to discrimination against those who defend traditional marriage. It now appears these concerns were justified.

A photographer in New Mexico was fined $7,000 for refusing to photograph a same-sex ceremony. Her lawyer, Jordan Lorence of Alliance Defending Freedom, questioned the ruling: “Should the government force a videographer who is an animal-rights activist to create a video promoting hunting and taxidermy? Of course not; and neither should the government force this photographer to promote a message that violates her conscience.”

In another case, Barronelle Stutzman, a florist in Washington state, is being sued under anti-discrimination laws for refusing to provide flowers for the wedding of two male customers. She had sold flowers to them on other occasions, but she felt she couldn’t participate in their wedding.

Jack Phillips, owner of Masterpiece Cakeshop in Colorado, politely refused to create a wedding cake for a same-sex couple who were going to have a wedding ceremony in Massachusetts (such weddings are not legal in Colorado, where marriage is defined as between one man and one woman), followed by a reception in Colorado.

Judge Robert Spencer ruled that Phillips must bake wedding cakes for homosexual couples: “At first blush, it may seem reasonable that a private business should be able to refuse service to anyone it chooses. This view, however, fails to take into account the cost to society and the hurt caused to persons who are denied service simply because of who they are.”

Phillips, however, did not discriminate against the two men because of who “they are,” but because of the message they wanted him to send with his craftsmanship. Philips offered to sell them other baked goods or birthday cakes, just not a wedding cake. Phillips has been consistent in the defense of his faith. He has also refused to bake Halloween treats.

These rulings raise a number of questions: Does the government have the right to force an artist or craftsman to create whatever a potential client demands, even if it sends a message with which the creator disagrees? Do some people have a right not to have their feelings hurt? Are LGBT persons’ hurt feelings sufficient cause to deny other persons’ freedom of religion and creative speech?

There's more and it's worth your time.  

Sooner or later, a choice will have to be made by those sitting on the sidelines.  The stakes are high.

Choose with wisdom.